Hunter was confused and concerned by this remark.
“Is she sick too?” Hunter seriously asked Ella.
Ella stumbled over her words, reluctant to be the one to tell Hunter that Luna was pregnant. It was important news that Luna should share herself, but unfortunately, she was experiencing morning sickness at night. This was incredibly inconvenient, especially given the circumstances. There were only so many excuses Ella could make for Luna's nausea and illness.
Hunter noticed Ella’s nervous nature. He could not handle Luna being sick as well. Why was she beating around the bush about her condition? What exactly was going on? He had to know the truth.
“Ella,” Hunter said seriously. “Ella, what is going on?”
“You have to talk to Luna,” Ella gently responded to Hunter. “Talk to her. It is not my place to say, but I promise you it is nothing bad.”
"Nothing bad? She is in the bathroom sick. How could that be nothing bad?" Hunter thought to himself. He turned his head when he noticed someone approaching—Luna, slowly walking toward him while wiping her mouth. Despite her illness, she radiated a certain glow. Hunter's eyes traveled from her face down to her slightly rounded stomach. She looked beautiful, even radiant, but something about her seemed different.
Suddenly, he swallowed hard. "Luna," he said thoughtfully, "are you... are you pregnant?"
Luna blushed and glanced at Ella. "Ella!" she shouted. "I told you not to say anything!"
"No, no," Hunter reassured her, placing his hands on either side of her face. "She didn’t tell me, darling. I just pieced it together when I heard you were sick in the bathroom. Why didn’t you tell me sooner?"
"Your game," Luna replied softly. "I didn’t want to ruin it for you. I wanted you to stay focused. Please, tell me you all won."
"We won," Hunter said, his voice filled with joy. "We did win, but I won a second time tonight. We're going to have a baby together."
Luna sighed in relief. Although deep down, she expected Hunter to be happy about her pregnancy, fear and doubt still crept into her mind. She was happy to know that he was on board with all of this. The couple embraced one another. Hunter held her close to him. He was so happy beyond compare. This baby was going to be the product of his and Luna’s love for one another. As they embraced, a doctor walked up to the three of them.
“Adam is awake and can be seen now,” the doctor told them. “His pain is manageable. We will be sending you all home with some pain medication later tonight. Use it sparingly. He is a trooper. I know that he will be excited to see you all.”
Just as the doctor was finished speaking, Frank walked into the waiting room. Hunter filled him in on the situation and gestured for him to follow them to Adam’s room. When they all walked in, Adam was awake and in good spirits. He wanted to hear all about the hockey game, which he was upset he missed the rest of. Hunter explained how he tackled a guy and how the team scored the winning point at the last minute. He re-enacted each scene with theatrical importance so as to keep Adam’s spirits up. Adam loved every minute of this story.
When the time came for him to get discharged, Hunter thanked Frank for his support. He also told Ella to go home and get some rest. He thanked her for being there for them as well. When he, Adam, and Luna got back to the apartment, they put Adam to bed.
He could tell that Luna was tired. He was, too, but he had not yet showered after the game, and he knew that he needed to have one before climbing into bed. As he started getting undressed, Luna stared at his chiseled body. She noticed a few bruises starting to appear from the hockey game. She had to remind herself how violent of a sport hockey was. Hunter caught her staring at him and the bruises all over his body.
“Do not worry,” he said to her with love. “Don’t worry, baby. They will heal.”
Luna slowly walked over to Hunter and gently kissed each of his bruises. Her mouth moved from his back to his arms and then, finally, to his lips. Hunter and Luna kissed passionately. He wrapped his arms around her waist and drew her closer. He wanted to feel the touch of her skin against his. She looked up at him. Then, her eyes briefly darted down to her stomach.
“Do you promise that this does not scare you?” she asked him intently. “I am so excited about this baby. I just want to make sure that you are as well.”
Hunter leaned in and kissed Luna again, feeling the warmth of her lips against his. The gentle touch eased her tension, and she breathed relief as relaxation washed over her. She wrapped her arms around Hunter’s neck, standing on her tiptoes to kiss his forehead softly. He appreciated the gesture, but a part of him ached knowing how much worry weighed on her about carrying their child.
Gently, he pulled her arms away from his neck, bringing her to eye level with him. It was crucial for him that she understood every word he was about to say. He needed her to know how he felt. “You know that I’m excited to have a child with you, right?” he asked, his tone serious yet tender.
“I just wanted to make sure, my darling,” Luna replied, her eyes searching his for reassurance. “I know this is all a lot, and everything is happening so fast for us. I just don’t want you to feel overwhelmed.”
Hunter took a deep breath, wanting to convey the depth of his emotions. “I love you,” he stated firmly. “I love you, and that automatically means I love anything that comes from you. Anything we create together will be cherished with my whole heart, and that includes this baby. Okay, my love?”
As her eyes glistened with un-shed tears, Luna nodded, a mix of joy and relief washing over her. She felt an overwhelming sense of security in their relationship. The worries of the future faded just a little, replaced by the warmth of Hunter's unwavering support and love. They were embarking on a beautiful journey together, and they would navigate whatever challenges lay ahead.
It was a relief to hear these words straight from his mouth. She wrapped her arms around his neck again and leaned to kiss him. Hunter welcomed the affection. He embraced her and kissed her back to let her know how much he loved her and their unborn baby. This was going to be a new stepping stone in their love story. She had no reason to fear. He would be with her every step of the way.
That night, Luna and Hunter made sweet love. Their bodies matched each other in effort, force, and pleasure. Their bodies intertwined with one another like a needle and thread. They were meant to be together, and their bodies fit together like a glove. They revealed each other’s pleasure. Only they knew how to satisfy one another, and when the sweet time came, they bothclimaxed at the same time. It felt surreal to feel each other’s body clench with joy.
Hunter lay beside her, between the worlds of slumber and reality. He began thinking about their baby and their future, and he started thinking about his engagement to Luna and how she was his fiancée. He wanted this baby to be born under a true union; he wanted this baby to be born while he and Luna were legally considered married. These thoughts consumed him so much that he was unable to speak. So, he gently shook Luna awake from her slumber. He patiently waited until she was conscious. What he had to say was important, and he wanted to ensure that she was awake enough to listen to every word that he had to say.
# Records of molecules that have nothing to do with the entry
~~~
[1]
# C8H10N4

The molecule C8H10N4 (ωB97M-V/def2-TZVPD, the OMol25 dataset).

Its total charge is 0. As for the multiplicity: 1. The value obtained for the HOMO energy is -10.2191 eV. The calculation puts the energy above the lowest of the compared OMol25 structures with the same formula, charge and spin at 3.839 eV. The SMILES is CC(C)[C@@H]1CN=NC1(C#N)C#N.

Last column: Löwdin charge in e.
Element x y z (Å)
N (2.47772, -2.44632, 0.36831)  0.031
N (0.59332, -1.21414, -3.55161)  0.220
N (2.19645, -2.78088, -0.78278)  0.085
N (-0.61219, -4.43638, -0.89802)  0.188
C (-1.01238, 0.30316, -1.46558)  -0.052
C (-0.12707, 1.21629, 0.64303)  -0.074
C (0.17003, 0.30432, -0.49958)  -0.402
C (0.85710, -2.29309, -1.24902)  -0.320
C (-0.01087, -3.49058, -1.13274)  -0.155
C (0.45954, -1.08918, 0.02041)  -0.092
C (0.76320, -1.73215, -2.53395)  -0.199
C (1.64035, -1.45862, 0.97242)  -0.133
H (1.45337, -1.89276, 1.89913)  0.104
H (1.00896, 0.73508, -1.01952)  0.138
H (-1.12848, -0.66542, -1.91340)  0.057
H (-1.90175, 0.57594, -1.00069)  0.069
H (-0.85012, 0.89049, 1.26312)  0.041
H (-0.40851, -1.43969, 0.41043)  0.099
H (0.83977, 1.34607, 1.14298)  0.083
H (2.32709, -0.61650, 1.05912)  0.128
H (-0.50127, 2.29172, 0.39121)  0.132
H (-0.85503, 0.94504, -2.23073)  0.053

=====

[2]
# C8H10NO3

A cluster of 2 separate species, C8H10NO3 in total (ωB97M-V/def2-TZVPD, the OMol25 dataset).

Its total charge is +1. As for the multiplicity: 3. The value obtained for the HOMO energy (alpha / beta) is -9.3585 / -13.0188 eV.

Last column: Mulliken spin population.
Element x y z (Å)
O (-0.74243, -2.48683, -1.23620)  0.009
O (-3.33103, 0.57740, 2.05972)  0.139
O (0.23950, -0.62900, -1.72736)  0.028
N (2.06503, 1.21417, -1.49589)  0.013
C (-0.41683, -1.05473, 0.68522)  0.061
C (1.24435, 1.23146, 1.48916)  0.369
C (1.77127, -0.10285, 1.61519)  0.049
C (-2.23386, 0.40043, 1.73195)  0.151
C (-0.12495, 1.39498, 1.37870)  0.485
C (-0.23412, -1.33792, -0.84957)  0.029
C (0.98564, -1.15809, 1.22667)  0.479
C (-1.02768, 0.26406, 1.16220)  0.077
H (2.72399, -0.19253, 2.03097)  0.026
H (-0.54384, 2.29884, 1.35817)  0.044
H (1.42923, -2.15475, 1.43391)  0.004
H (2.25749, 1.22656, -0.54806)  0.008
H (-0.89335, -1.99282, 1.16283)  0.027
H (-0.66020, -2.83272, -2.19288)  0.001
H (2.77042, 0.98763, -2.23085)  -0.005
H (1.15962, 0.54286, -1.75720)  -0.008
H (1.78614, 2.12040, 1.78578)  0.010
H (1.61005, 2.02860, -1.88575)  0.002

=====

[3]
# C8H10NO3P

A cluster of 2 separate species, C8H10NO3P in total (ωB97M-V/def2-TZVPD, the OMol25 dataset).

Its total charge is -2. As for the multiplicity: 1. The value obtained for the HOMO energy is 0.6204 eV. The calculation puts the energy above the lowest of the compared OMol25 structures with the same formula, charge and spin at 0.571 eV.

Last column: Löwdin charge in e.
Element x y z (Å)
P (-0.45529, 2.81447, 3.02129)  0.194
O (-1.28469, 1.74258, 3.60186)  -0.404
O (-1.12417, 3.98173, 2.41633)  -0.405
O (0.96353, 2.92672, 3.46172)  -0.416
~~~
“Luna, my love, are you awake now?” he gently asked her. “I have something important that I want to talk to you about.”
Luna placed her fingers by her eyelids. She rubbed her eyes until she was certain that she could understand exactly what it was that he had woken her up for. It must have been something important if Hunter was willing to wake her up from her sleep to talk to her. Luna slowly blinked her eyes open. He waited until she was awake enough to have some commentary.